“Reason for resignation” is the question that perplexes even some of the experienced professionals when they quit their job. Here we have summarized 5 types of reasons you can choose to use for your resignation. It is never easy to explain the sudden “parting ways” with long developed work relations with bosses and colleagues. Equally difficult is to keep details of the next job under wrap least something goes wrong. Hopefully these 5 categories will help you decide on what reason for resignation works best for you.
Reason for Resignation : Hard Reality – Why people actually leave
Someone had rightly said, “People leave their bosses”. That is obviously not always the case, but definitely it is one of most significant reason for resignation. Equally significant reason for resignation are lower compensation and lack of career growth within the organization. Many a times people leave because they feel under valued and the work is not challenging for them. Many also leave because of the work culture of organization or poor work-life balance.
Honesty here is not the best policy !
Can anyone mention these above “real” or “actual” reasons as the reason for resignation while quitting the job ?
If one is quitting the job because of – relocation or higher studies – in those case one can happily be honest and write the “actual” reason in resignation letter (or resignation email). But in other cases where one was unhappy inside the organization and decided to quit the job, one can’t write the actual reason for resignation. It is not that people are dishonest, its just that they don’t want to state the facts because it would be painful and hurt others and will perhaps lead to acrimony while parting ways. Everyone wants a professional parting ways in career and perhaps certain “hard facts” are better left unsaid.
The golden rule when resigning from any job is to leave on good terms (whenever possible) without burning the bridges. One never knows when you will come across your former supervisor or colleagues in world of work. You must remember that your ex-employer will be used as a reference by your future employers, hence it is always wise to leave as a “good employee”.
A “Good” Reason for Resignation : Must have these 3 elements
1. It should not “offend” anyone.
2. It should not make “rest of the team” feel as being inferior or envious
3. It should be easy to “justify” and “defend”
With this backdrop, we have listed here 5 types of Reasons for Resignation for you to consider.
First Category – Personal Reason
### Data records from another source follow
____________
No. 1
Material: SrBeCoGe2
Method: DFT, meta-GGA SCAN
State: single point on PBEsol structure

DFT formation energy = 2137 meV/atom
uncorrected energy = -14.28 eV/atom

Cell: 5.435 5.435 4.529 Å, 90.00 90.00 90.00°
Fractional coordinates of all 5 atoms:
Sr (0.000, 0.000, 0.000)
Be (0.500, 0.500, 0.500)
Co (0.000, 0.000, 0.500)
Ge (0.000, 0.500, 0.000)
Ge (0.500, 0.000, 0.000)

***

No. 2
Material: Be2CoHSe
Method: DFT, meta-GGA SCAN
State: single point on PBEsol structure

uncorrected energy = -9.10 eV/atom

Cell: 4.121 4.121 4.099 Å, 90.00 90.00 90.00°
Fractional coordinates of all 5 atoms:
Be (0.000, 0.500, 0.000)
Be (0.500, 0.000, 0.000)
Co (0.000, 0.000, 0.000)
H (0.500, 0.500, 0.500)
Se (0.000, 0.000, 0.500)

* * * * *

Computed, not measured: a relaxed structure of GdV2Fe10N at the GGA-PBE level of DFT. Values from VASP.

The structure in Quantum ESPRESSO input format:
```
&SYSTEM
  ibrav = 0, nat = 14, ntyp = 4
/
ATOMIC_SPECIES
Fe 55.84 Fe.upf
Gd 157.25 Gd.upf
V 50.94 V.upf
N 14.01 N.upf
CELL_PARAMETERS angstrom
-2.384 4.270 4.287
2.384 -4.270 4.287
2.384 4.270 -4.287
ATOMIC_POSITIONS crystal
Fe 0.361 0.000 0.361
Fe 0.777 0.277 0.500
Fe 0.000 0.500 0.000
Gd 0.000 0.000 0.000
V 0.358 0.358 0.000
N 0.000 0.500 0.500
Fe 0.775 0.500 0.275
Fe 0.223 0.723 0.500
Fe 0.500 0.000 0.000
Fe 0.000 0.000 0.500
Fe 0.500 0.500 0.500
V 0.642 0.642 0.000
Fe 0.225 0.500 0.725
Fe 0.639 0.000 0.639
```

Values from the calculation:
* formation energy without anion corrections: -0.139 eV per atom
* N(E_F): 12.096 states/eV per cell
* space group: Immm

* * * * *

1.
## Cs2Pd2I (PBE)

Data for crystalline Cs2Pd2I at its relaxed geometry.

## Properties
ΔE_f (raw)   -0.16 eV/atom
Calculated density   6.225 Mg/m³
Volume   32.3 Å³ per atom
Space-group type   P4/mbm (127)
DOS(E_F)   0.45 states/eV per atom
Calculated total energy   -2.890 eV per atom

POSCAR file:
```
Cs2Pd2I
1.0
7.742 0.000 0.000
0.000 7.742 0.000
0.000 0.000 5.390
Cs I Pd
4 2 4
Cartesian
1.415 5.286 2.695
5.286 6.327 2.695
6.327 2.456 2.695
2.456 1.415 2.695
0.000 0.000 0.000
3.871 3.871 0.000
2.898 6.769 0.000
6.769 4.844 0.000
4.844 0.973 0.000
0.973 2.898 0.000
```

2.
## Cs4PdI6 (PBE)

Data for crystalline Cs4PdI6 at its relaxed geometry.

## Properties
ΔE_f (raw)   -1.10 eV/atom
Calculated density   3.965 Mg/m³
Volume   53.3 Å³ per atom
Space-group type   P4/mnc (128)
DOS(E_F)   0.16 states/eV per atom
Calculated total energy   -2.729 eV per atom

POSCAR file:
```
Cs4PdI6
1.0
-3.632 -9.632 -1.232
5.143 -0.792 -8.966
8.665 -3.948 5.319
Cs Pd I
8 2 12
Cartesian
1.864 -4.278 -0.620
9.331 -5.155 -2.253
8.313 -10.094 -4.259
5.178 -11.191 0.033
6.197 -6.252 2.039
4.999 -3.181 -4.913
0.845 -9.216 -2.626
3.980 -8.120 -6.918
0.756 -5.212 -5.099
4.333 -1.974 2.660
8.049 -5.334 -5.889
0.195 -7.913 -6.191
-0.957 -5.806 -2.750
5.434 -3.002 0.103
2.035 -0.927 1.250
3.053 -6.258 -3.689
2.469 -4.617 -7.448
6.630 -3.021 4.070
1.316 -2.510 -4.007
7.124 -8.113 -1.190
4.743 -11.370 -4.982
2.127 -9.038 1.009
```
____________
These are the easiest ones to state and justify. A resignation due to “personal reasons” does not offends anyone and does not generate any envy. These type of reasons are universally acceptable and allow an employee to gracefully leave the job. When writing resignation, you can simply mention “due to personal reason” as your reason for resignation. hen someone probes further, you can either opt to get into details alternatively if you do not want to share anything, you can simply stick to “personal” thing and not share more details. Though it might be frustrating for the other person, but still they will respect your decision and accept your resignation.
The best thing about this is that when you state “personal reasons” you are being completely honest and yet you are not allowing others to dig into your actual reason for resignation. You end up keeping your next move under the warp and if after few days people get to know that you have joined a competitor or a bigger brand in industry, they won’t call you a liar.
In case you are actually having a personal reason like – having health issues, or relocating to another state or deciding to retire or you are considering becoming stay at home parent – you should mention the exact personal reason and be honest about it.
Second Category – Taking a Break
To use this as reason for resignation, you need to have some solid underlying facts to support. And the break has to be long enough for others to accept your resignation and not ask you to instead take a 2-6 week long break and come back. You can take a break for multiple reasons including – taking care of new born child, old parents, family issues, deciding to work part time from home, long cherished desire to travel long distance and explore what you like.
Third Category – Moving to another job
Now this is probably the most direct and honest reason for resignation for people who are actually quitting for a better opportunity but then this is also the most trickiest of all. You need to handle this very tactfully otherwise you will end up offending your boss or colleagues or employer. First of all you need to ensure you do not criticize anyone – not your boss, nor the work culture, nor the poor compensation – you need to prepare yourself to answer for the next set of questions which everyone will be asking you as to what is “wrong” or “missing” in your current job. Remember not to talk about higher compensation or career growth opportunities etc., otherwise you will end up initiating an unpleasant discussion. You need to figure out how to handle those questions without being critical.
Fourth Category – Pursue higher studies
This is the easiest of all reason for resignation for anyone to use. Everyone might probably even congratulate you and give their best wishes for a more successful career after you complete your higher studies.
Fifth Category – Want to pursue something else
Now this reason also allows you to keep your future options open without actually disclosing them. But then you need to be prepared to answer the next set of questions on what do you want to pursue, why are you not happy in current job etc. etc. You can answer some of them vaguely and continue to keep things vague, without divulging what exactly is your next move.

Reason for Resignation : Do not commit these mistakes
- Don’t criticize your boss or express your unhappiness with work culture or any other employer policies etc.
- Don’t brag about your great new well paying opportunity to your co-workers
- Ideally do not disclose your next move. You would never know if any disgruntled boss or employer might decide to sabotage the move. Why take a risk ?
- Don’t talk about lower compensation at current job or lack of career advancement opportunities
Last important tip to help you decide your reason for resignation
Remember that in your next interview, you can expect the question why did you left your previous job. Your answer ideally should match what you wrote in your resignation letter (or resignation email). the reason is that your HR is likely to capture that as reason for resignation in the records and if your future employer goes for a verification of your past credentials then your past HR will share that reason with them. So avoid lying and getting caught.